Request:
Retype the part of the data below that starts with the line with "(-18.967, -10.906," and stops after the one with "LUMO energy".

Material:
[1]
C38H37NiO4P | ωB97M-V/def2-TZVPD

Each line ends with the Mulliken spin population.
CARTESIAN COORDINATES (ANGSTROEM)
Ni (-13.530, -13.089, 5.164)  1.50
P (-12.330, -11.624, 6.432)  0.09
O (-15.351, -12.623, 5.819)  0.02
O (-14.097, -15.047, 5.244)  0.02
O (-18.576, -12.690, 9.223)  0.00
O (-13.949, -12.401, 3.394)  0.04
C (-8.964, -13.021, 8.314)  0.01
C (-10.092, -9.138, 7.562)  0.00
C (-17.724, -14.759, 8.473)  0.00
C (-13.587, -11.213, 10.313)  -0.01
C (-13.293, -11.364, 0.845)  0.00
C (-14.330, -10.207, 7.761)  0.02
C (-13.246, -11.120, 7.922)  0.02
C (-10.488, -9.278, 6.097)  -0.01
C (-17.816, -13.351, 8.332)  0.00
C (-15.580, -10.748, 0.677)  0.00
C (-11.692, -10.236, 4.228)  -0.02
C (-17.107, -12.661, 7.284)  0.00
C (-14.842, -12.316, 2.523)  0.00
C (-16.114, -13.321, 6.590)  0.02
C (-10.640, -13.627, 6.188)  -0.08
C (-18.565, -11.209, 9.203)  0.00
C (-8.686, -14.138, 7.515)  0.00
C (-16.771, -15.471, 7.726)  0.00
C (-10.057, -12.204, 8.104)  -0.02
C (-16.193, -12.954, 2.651)  0.00
C (-10.250, -8.258, 3.890)  0.00
C (-9.577, -14.501, 6.499)  -0.03
C (-13.905, -9.502, -0.473)  0.00
C (-14.886, -15.551, 6.085)  0.03
C (-14.791, -9.583, 6.454)  0.01
C (-15.010, -9.845, 8.929)  -0.01
C (-15.213, -9.637, -0.109)  0.00
C (-14.576, -11.476, 1.301)  0.00
C (-14.838, -17.042, 6.547)  0.01
C (-9.912, -8.323, 5.216)  0.00
C (-12.975, -11.728, 9.179)  0.01
C (-10.891, -12.524, 7.020)  0.02
C (-11.122, -9.230, 3.384)  0.00
C (-15.922, -14.779, 6.859)  -0.01
C (-11.567, -13.712, 5.026)  0.32
C (-11.425, -10.253, 5.592)  0.03
C (-14.660, -10.288, 10.171)  0.02
C (-12.962, -10.375, -0.034)  0.00
H (-16.109, -13.593, 3.578)  0.00
H (-19.281, -10.897, 9.968)  0.00
H (-11.887, -10.195, -0.244)  0.00
H (-16.685, -10.763, 0.885)  0.00
H (-8.212, -12.790, 9.067)  0.00
H (-14.656, -17.066, 7.625)  0.00
H (-17.574, -10.766, 9.411)  0.00
H (-14.097, -9.817, 5.645)  0.00
H (-18.967, -10.906, 8.203)  0.00
H (-16.024, -9.017, -0.539)  0.00
H (-18.286, -15.255, 9.323)  0.00
H (-13.248, -11.511, 11.353)  0.00
H (-15.832, -17.525, 6.429)  0.00
H (-11.297, -13.275, 4.066)  -0.02
H (-11.382, -9.245, 2.307)  0.00
H (-9.573, -15.528, 6.085)  0.00
H (-15.149, -9.895, 11.086)  0.00
H (-10.243, -11.487, 8.834)  0.00
H (-17.237, -11.600, 7.332)  0.00
H (-13.741, -8.685, -1.151)  0.00
H (-16.340, -13.473, 1.707)  0.00
H (-16.550, -16.479, 7.941)  0.00
H (-12.329, -10.965, 3.713)  0.00
H (-9.209, -9.745, 7.865)  0.00
H (-15.834, -9.138, 8.778)  0.00
H (-12.539, -12.044, 1.171)  0.00
H (-16.990, -12.184, 2.843)  0.00
H (-9.740, -7.602, 3.183)  0.00
H (-12.365, -12.632, 9.231)  0.00
H (-15.837, -9.945, 6.148)  0.00
H (-9.832, -8.079, 7.711)  0.00
H (-11.939, -14.767, 4.852)  0.02
H (-14.034, -17.577, 6.028)  0.00
H (-10.873, -9.334, 8.320)  0.00
H (-14.830, -8.542, 6.556)  0.00
H (-7.772, -14.624, 7.685)  0.00
H (-9.183, -7.642, 5.676)  0.00

Calculated values
Spin multiplicity: 3
Charge: 0
LUMO energy (spin up / spin down) in eV: -0.2 / -0.2
Orbital gap (spin up / spin down) in eV: 5.541 / 7.081
Total energy in hartree: -3620.7418
HOMO (spin up / spin down) in Eh: -0.21107 / -0.26706

[2]
C38H38AsCaN5O11P2 | ωB97M-V/def2-TZVPD

Each line ends with the Löwdin charge.
CARTESIAN COORDINATES (ANGSTROEM)
As (1.979, 2.191, -1.867)  1.23
Ca (0.811, -0.175, 0.358)  1.33
P (-0.902, -2.723, 1.306)  0.31
P (0.748, -3.028, -1.222)  0.33
O (-1.180, -3.695, 2.594)  -0.16
O (2.362, -3.093, -1.096)  -0.15
O (2.631, -1.318, 1.208)  -0.18
O (0.387, -3.832, -2.412)  -0.29
O (0.752, 1.738, -0.812)  -0.56
O (-0.072, -1.577, 1.835)  -0.42
O (-2.167, -2.533, 0.562)  -0.29
O (4.574, -1.194, 0.176)  0.08
O (2.836, -0.121, -0.593)  -0.19
O (0.271, -1.600, -1.062)  -0.48
O (-2.001, 1.673, -2.016)  -0.10
N (3.402, -0.899, 0.246)  -0.52
N (1.814, 1.428, 2.072)  0.09
N (-0.891, 1.127, 1.444)  0.03
N (1.534, -3.876, 1.320)  0.18
N (-2.538, -0.806, -2.547)  0.12
C (1.638, -0.122, -3.532)  -0.08
C (2.614, 3.348, 3.923)  -0.01
C (1.562, 6.001, -3.648)  -0.08

Written answer:
H (-18.967, -10.906, 8.203)  0.00
H (-16.024, -9.017, -0.539)  0.00
H (-18.286, -15.255, 9.323)  0.00
H (-13.248, -11.511, 11.353)  0.00
H (-15.832, -17.525, 6.429)  0.00
H (-11.297, -13.275, 4.066)  -0.02
H (-11.382, -9.245, 2.307)  0.00
H (-9.573, -15.528, 6.085)  0.00
H (-15.149, -9.895, 11.086)  0.00
H (-10.243, -11.487, 8.834)  0.00
H (-17.237, -11.600, 7.332)  0.00
H (-13.741, -8.685, -1.151)  0.00
H (-16.340, -13.473, 1.707)  0.00
H (-16.550, -16.479, 7.941)  0.00
H (-12.329, -10.965, 3.713)  0.00
H (-9.209, -9.745, 7.865)  0.00
H (-15.834, -9.138, 8.778)  0.00
H (-12.539, -12.044, 1.171)  0.00
H (-16.990, -12.184, 2.843)  0.00
H (-9.740, -7.602, 3.183)  0.00
H (-12.365, -12.632, 9.231)  0.00
H (-15.837, -9.945, 6.148)  0.00
H (-9.832, -8.079, 7.711)  0.00
H (-11.939, -14.767, 4.852)  0.02
H (-14.034, -17.577, 6.028)  0.00
H (-10.873, -9.334, 8.320)  0.00
H (-14.830, -8.542, 6.556)  0.00
H (-7.772, -14.624, 7.685)  0.00
H (-9.183, -7.642, 5.676)  0.00

Calculated values
Spin multiplicity: 3
Charge: 0
LUMO energy (spin up / spin down) in eV: -0.2 / -0.2